Models are only as good as the data they’re fed and the assumptions they’re based on. This can present a challenge when circumstances evolve rapidly in new directions.
As COVID-19 shutters cities and towns across the world, people aren’t behaving like epidemiologists are used to, and the models scientists would typically employ to predict the disease’s spread need to be revamped.
“Some of the early epidemiological models of COVID-19 rely on assumptions about human movement and connectivity that are totally unrealistic given that most of the country has been shut down,” said UC Santa Barbara disease ecologist Andy MacDonald.
MacDonald, UCSB postdoctoral researcher Dan Sousa, and their colleagues at Columbia and UC Berkeley just received a $200,000 grant from the National Science Foundation to address this issue. The funding comes from the foundation’s Early-Concept Grants for Exploratory Research (EAGER), which supports high risk, high reward proposals.
“These are ideas that may not pan out, but if they do, they have the potential to be transformative,” MacDonald said. “They often bring together expertise from multiple different disciplines.”
== Quantum chemistry results from another source follow ==
DFT (ωB97M-V/def2-TZVPD) results for 2 unconnected molecules or ions with the total composition C3H6O3.

Calculated values
* 2S+1: 1
* SMILES string: C=CO.O=CO
* LUMO: 0.77 eV
* ΔE to the lowest compared entry with this formula, charge and spin: 57.8 kcal/mol

```
12
C3H6O3 ωB97M-V/def2-TZVPD
C -1.504 -0.185 0.850
C -0.964 -1.359 0.570
O 0.178 -1.634 -0.164
H -2.020 -0.092 1.798
H -1.630 0.686 0.226
H -1.208 -2.197 1.203
H 0.088 -1.269 -1.059
O 0.243 2.019 -0.395
C 1.342 1.613 -0.575
O 1.678 0.579 -1.426
H 2.237 2.069 -0.129
H 1.560 -0.230 -0.900
```

***

DFT (ωB97M-V/def2-TZVPD) results for a molecular structure, C3H8NO.

Calculated values
* 2S+1: 2
* expectation value of S²: 0.754
* LUMO (alpha / beta): 0.90 / -0.06 eV
* ΔE to the lowest compared entry with this formula, charge and spin: 76.9 kcal/mol

```
13
C3H8NO ωB97M-V/def2-TZVPD
C 0.323 -0.737 -0.878
C -0.371 -0.037 0.255
C 0.640 0.817 0.995
O 0.545 1.297 2.068
N -0.395 -1.600 -1.837
H 0.296 -0.106 -1.805
H 1.295 -1.179 -0.689
H -1.146 -0.537 0.813
H -0.448 1.100 0.146
H 1.526 1.065 0.384
H -2.874 0.652 -1.829
H -1.401 -1.453 -1.720
H -2.966 0.045 -1.411
```

***

DFT (ωB97M-V/def2-TZVPD) results for a molecular structure, C25H37BN8O2V.

Calculated values
* total charge: +1
* 2S+1: 3
* expectation value of S²: 2.010
* LUMO (alpha / beta): -3.26 / -2.32 eV
* ΔE to the lowest compared entry with this formula, charge and spin: 11.6 kcal/mol

```
74
C25H37BN8O2V ωB97M-V/def2-TZVPD
V -0.099 -0.068 -0.058
C 1.676 -1.491 -3.410
C 1.566 -0.034 -3.090
C 2.064 0.973 -3.914
C 1.669 2.165 -3.338
C 1.916 3.560 -3.810
N 0.984 1.862 -2.225
N 0.915 0.504 -2.044
B 0.080 2.813 -1.415
N -1.356 2.266 -1.458
N -1.668 1.047 -0.934
C -2.984 0.875 -1.098
C -3.693 -0.340 -0.609
C -3.519 1.980 -1.757
C -2.458 2.845 -1.965
C -2.459 4.188 -2.614
N 0.551 2.876 0.038
N 0.460 1.775 0.846
C 0.798 2.188 2.084
C 0.748 1.353 3.317
C 1.123 3.541 2.047
C 0.949 3.947 0.738
C 1.134 5.303 0.142
H 2.290 -1.608 -4.300
H 0.703 -1.927 -3.655
H 2.142 -2.077 -2.627
H 2.630 0.846 -4.825
H 2.586 3.540 -4.667
H 2.374 4.169 -3.030
H 0.989 4.049 -4.113
H 0.112 3.902 -1.895
H -3.307 -0.627 0.364
H -3.590 -1.176 -1.309
H -4.758 -0.141 -0.503
H -4.551 2.141 -2.027
H -3.465 4.427 -2.950
H -1.793 4.213 -3.478
H -2.137 4.965 -1.918
H -0.262 0.989 3.494
H 1.047 1.962 4.168
H 1.393 0.478 3.287
H 1.426 4.155 2.881
H 1.533 5.979 0.896
H 0.189 5.712 -0.218
H 1.829 5.280 -0.699
N -0.486 -2.003 -0.980
C 0.062 -3.228 -0.324
C 1.577 -3.219 -0.178
C 2.131 -2.264 0.861
N 1.849 -0.827 0.569
H -1.499 -2.087 -1.014
H -0.187 -1.970 -1.948
H -0.233 -4.107 -0.895
H -0.404 -3.315 0.657
H 2.052 -3.046 -1.141
H 1.882 -4.225 0.114
H 3.207 -2.415 0.947
H 1.691 -2.477 1.826
H 2.493 -0.487 -0.141
H 2.058 -0.290 1.406
O 0.060 -1.679 3.103
C -0.951 -1.528 2.456
O -1.043 -0.685 1.433
C -2.167 -2.333 2.772
C -3.023 -2.810 1.787
C -4.110 -3.599 2.127
C -4.355 -3.902 3.460
C -3.497 -3.434 4.448
C -2.397 -2.666 4.104
H -2.832 -2.583 0.745
H -4.767 -3.978 1.355
Classic epidemiological models use factors like commuting and air travel to estimate how connected different population centers are. But with people largely staying put, these data sources right now simply don’t provide much useful information.
The team plans to source more appropriate data to feed into the models, mostly using remote sensing. For instance, instead of using data like commuter travel to estimate connectivity, they’re looking at sources like night time lights, gridded population density and mobile phone density, location and movement. “All of these data sources will be brought together to create high resolution spatial networks of human population connectivity as well as to estimate where people are likely to be, interact and travel,” MacDonald said.
What’s more, many classic techniques simply don’t have high enough resolution to predict how the disease may spread at small scales, such as between neighborhoods, which can influence the likelihood of subsequent long-distance transmission. New data sources will provide information at a variety of spatial scales, giving scientists more detailed insights.
The higher resolution should also enable them to better estimate transmission dynamics as events unfold. “For instance, how quickly do we expect new cases to propagate out from hotspots in places that are opening up to places that are still closed,” MacDonald said.
Intending this to be an ongoing process, MacDonald, Sousa and their colleagues will continue to refine their techniques and share their results with the wider research community. The grant will support their work for one year, at which point they plan to apply for longer-term funding if the project proves successful, he said.